(Given)
~~~
Version P
Formula: C3H6NO2
Source: the OMol25 dataset
Level of theory: the ωB97M-V functional and the def2-TZVPD basis

Cartesian coordinates (Å):
C (0.68962, 1.04129, 0.14647)
C (0.21360, -1.59194, 1.52006)
C (-0.18197, 0.03950, 0.14464)
N (-1.01358, -0.26590, -0.95137)
O (-0.26273, -2.54995, 1.08811)
O (0.66127, 1.93985, -0.77876)
H (1.23316, 1.08689, 1.12223)
H (0.85919, -1.16783, 2.39043)
H (-1.65118, -1.08330, -0.70010)
H (-0.44379, -0.68054, -1.71908)
H (-1.47537, 0.53185, -1.46282)
H (1.37177, 2.70010, -0.79980)

The calculation puts the HOMO energy at -13.55 eV. As for the total charge: +1. The calculation puts the gap between HOMO and LUMO at 9.953 eV.

Version Q
Formula: C3H6NO2
Source: the OMol25 dataset
Level of theory: the ωB97M-V functional and the def2-TZVPD basis

Cartesian coordinates (Å):
C (-0.08271, 0.21972, -1.73403)
C (0.89225, 1.62949, 1.28517)
C (-0.58375, -1.84412, -0.19146)
N (0.07258, 1.40408, 0.26954)
O (0.02729, 0.87729, -2.61026)
O (-0.39681, -0.83578, -1.25646)
H (1.77039, 2.24311, 1.10551)
H (0.79066, 1.37136, 2.26767)
H (0.04699, -1.56891, 0.66790)
H (-0.32787, -2.75350, -0.70241)
H (-1.52095, -1.86917, 0.12248)
H (-0.68808, 1.12643, 0.77636)

The calculation puts the HOMO energy at -15.82 eV. As for the total charge: +1. The calculation puts the gap between HOMO and LUMO at 11.131 eV.

Version R
Formula: C3H6NO2
Source: the OMol25 dataset
Level of theory: the ωB97M-V functional and the def2-TZVPD basis

Cartesian coordinates (Å):
N (1.57151, 0.38832, -0.13935)
C (0.48096, 0.21102, 0.55132)
C (-0.32649, -0.92599, 0.14400)
C (-1.66380, -0.96409, 0.01233)
O (-2.35862, 0.17195, -0.05715)
O (-1.41263, 1.21789, 0.04531)
H (2.40656, 0.81408, 0.22723)
H (1.76522, -0.07915, -1.00542)
H (0.43526, 0.68467, 1.42138)
H (0.02809, -1.94064, -0.02748)
H (-2.36604, -1.87978, -0.17348)
H (-1.80797, 1.99740, -0.41140)

The calculation puts the HOMO energy at -14.30 eV. As for the total charge: +1. The calculation puts the gap between HOMO and LUMO at 9.449 eV. The SMILES is [NH2+]=C/C=C\OO.

Relative energy table, unit eV: version P 0.000; version Q 0.107; version R 0.431

Version P
Formula: C3H4NO
Source: the OMol25 dataset
Level of theory: the ωB97M-V functional and the def2-TZVPD basis

Cartesian coordinates (Å):
C (-1.17857, -0.64940, -0.56754)
N (-0.47718, 0.34533, -0.53114)
C (0.50894, 0.82151, 0.07847)
C (1.30683, -0.11185, 1.01071)
O (0.92218, -1.21365, 1.15206)
H (-2.19946, -0.54522, -0.14252)
H (-1.14612, -1.41154, -1.35619)
H (0.72650, 1.91974, -0.15288)
H (2.24771, 0.43625, 1.45247)

The calculation puts the HOMO energy at -16.29 eV. As for the total charge: +1. The calculation puts the gap between HOMO and LUMO at 9.874 eV. The SMILES is C=[N+]=CC=O.

Version Q
Formula: C3H4NO
Source: the OMol25 dataset
Level of theory: the ωB97M-V functional and the def2-TZVPD basis

Cartesian coordinates (Å):
C (0.61659, 1.73156, -1.00106)
C (0.99065, 0.82870, -1.96783)
O (0.75897, -0.39322, -1.84363)
C (-0.02049, -0.53523, -0.63904)
N (0.31508, 0.74723, 0.14457)
H (0.10613, -1.53425, -0.17112)
H (-1.10137, -0.78758, -0.92195)
H (1.12778, 0.48713, 0.78596)
H (-0.50552, 1.27029, 0.73326)

The calculation puts the HOMO energy (spin up / spin down) at -15.00 / -15.26 eV. As for the total charge: +1. The calculation puts the gap between HOMO and LUMO (spin up / spin down) at 7.531 / 8.256 eV. The SMILES is C1#COC[NH2+]1.

Version R
Formula: C3H4NO
Source: the OMol25 dataset
Level of theory: the ωB97M-V functional and the def2-TZVPD basis

Cartesian coordinates (Å):
C (-0.63775, -1.15434, -0.00170)
C (-1.85787, -0.60568, 0.04873)
C (0.32429, 0.96815, 0.08254)
N (0.46580, -0.42561, 0.05885)
O (-0.89273, 1.47639, -0.00419)
H (-0.49406, -2.18003, -0.04641)
H (0.99246, 1.50709, 0.89919)
H (0.86133, 1.45889, -0.93876)
H (1.23855, -1.04485, -0.09824)
~~~

(Activity)
Retype the calculation results earlier on from the first line to the one with "1.10551)" unchanged.

(Solution)
Version P
Formula: C3H6NO2
Source: the OMol25 dataset
Level of theory: the ωB97M-V functional and the def2-TZVPD basis

Cartesian coordinates (Å):
C (0.68962, 1.04129, 0.14647)
C (0.21360, -1.59194, 1.52006)
C (-0.18197, 0.03950, 0.14464)
N (-1.01358, -0.26590, -0.95137)
O (-0.26273, -2.54995, 1.08811)
O (0.66127, 1.93985, -0.77876)
H (1.23316, 1.08689, 1.12223)
H (0.85919, -1.16783, 2.39043)
H (-1.65118, -1.08330, -0.70010)
H (-0.44379, -0.68054, -1.71908)
H (-1.47537, 0.53185, -1.46282)
H (1.37177, 2.70010, -0.79980)

The calculation puts the HOMO energy at -13.55 eV. As for the total charge: +1. The calculation puts the gap between HOMO and LUMO at 9.953 eV.

Version Q
Formula: C3H6NO2
Source: the OMol25 dataset
Level of theory: the ωB97M-V functional and the def2-TZVPD basis

Cartesian coordinates (Å):
C (-0.08271, 0.21972, -1.73403)
C (0.89225, 1.62949, 1.28517)
C (-0.58375, -1.84412, -0.19146)
N (0.07258, 1.40408, 0.26954)
O (0.02729, 0.87729, -2.61026)
O (-0.39681, -0.83578, -1.25646)
H (1.77039, 2.24311, 1.10551)